2014 November Stewards Minutes

Seekers Church

November 2, 2014 Stewards Meeting

Present: Kevin Barwick [angel], Ken Burton [recorder], Pat Conover, Dave Lloyd [angel], Sandra Miller,Trish Nemore [worship], Brenda Seat, Keith Seat, Vincent Shepherd, Margreta Silverstone, Deborah Sokolove [moderator], Jacqie Wallen

 Absent:  Cynthia Dahlin, Peter Bankson, Marjory Bankson

Calculated crystals that have nothing to do with the text >
┌──
The following is a GGA-PBE calculation of Li2TeRu after structural relaxation, from the Alexandria database.

Geometry as POSCAR:
```
Li2TeRu
1.0
2.951 0.000 0.000
0.000 2.951 0.000
0.000 0.000 8.559
Li Te Ru
2 1 1
direct
0.000 0.000 0.216
0.000 0.000 0.784
0.500 0.500 0.500
0.500 0.500 0.000
```

## Properties
SG ... P4/mmm (123)
ΔE_f (raw) ... 191.8 meV/atom
Final energy ... -0.1422 Ha/atom

~~~~~

[1]
## Li4Cr2Cu3Sb3O16 (PBE with a Hubbard U)

Data for Li4Cr2Cu3Sb3O16 after structural relaxation.

Uncorrected energy (eV/atom): -5.952

Unit cell a=5.969 b=6.176 c=9.546 alpha=87.27 beta=89.85 gamma=61.28
Space group P1 (No. 1)
Symmetry-distinct sites (fractional):
Li1 0.000 0.000 0.000 x1
Li2 0.103 0.779 0.551 x1
Li3 0.353 0.282 0.631 x1
Li4 0.668 0.658 0.105 x1
Cr1 0.319 0.359 0.014 x1
Cr2 0.660 0.668 0.522 x1
Cu1 0.167 0.660 0.281 x1
Cu2 0.335 0.823 0.797 x1
Cu3 0.827 0.830 0.798 x1
Sb1 0.166 0.164 0.299 x1
Sb2 0.663 0.165 0.300 x1
Sb3 0.827 0.340 0.784 x1
O1 0.005 0.997 0.703 x1
O2 0.040 0.472 0.170 x1
O3 0.135 0.211 0.911 x1
O4 0.158 0.689 0.917 x1
O5 0.319 0.832 0.402 x1
O6 0.353 0.285 0.419 x1
O7 0.476 0.042 0.169 x1
O8 0.486 0.470 0.171 x1
O9 0.522 0.926 0.664 x1
O10 0.535 0.479 0.643 x1
O11 0.653 0.196 0.909 x1
O12 0.660 0.657 0.893 x1
O13 0.835 0.325 0.404 x1
O14 0.837 0.835 0.404 x1
O15 0.972 0.499 0.646 x1
O16 0.978 0.037 0.186 x1

***

[2]
## Li4Ti3Cr3Cu2O16 (PBE with a Hubbard U)

Data for Li4Ti3Cr3Cu2O16 after structural relaxation.

Uncorrected energy (eV/atom): -7.034

Unit cell a=5.905 b=5.906 c=9.611 alpha=89.59 beta=89.87 gamma=60.15
Space group P1 (No. 1)
Symmetry-distinct sites (fractional):
Li1 0.000 0.000 0.000 x1
Li2 0.013 0.999 0.497 x1
Li3 0.326 0.339 0.400 x1
Li4 0.673 0.664 0.903 x1
Ti1 0.172 0.662 0.716 x1
Ti2 0.669 0.166 0.712 x1
Ti3 0.818 0.837 0.218 x1
Cr1 0.175 0.168 0.718 x1
Cr2 0.329 0.832 0.211 x1
Cr3 0.830 0.340 0.218 x1
Cu1 0.343 0.326 0.987 x1
Cu2 0.662 0.664 0.487 x1
O1 0.003 0.995 0.814 x1
O2 0.047 0.482 0.844 x1
O3 0.169 0.670 0.111 x1
O4 0.173 0.150 0.111 x1
O5 0.331 0.827 0.608 x1
O6 0.340 0.337 0.606 x1
O7 0.487 0.476 0.840 x1
O8 0.491 0.037 0.842 x1
O9 0.509 0.531 0.339 x1
O10 0.511 0.961 0.340 x1
O11 0.666 0.673 0.107 x1
O12 0.674 0.155 0.106 x1
O13 0.833 0.323 0.605 x1
O14 0.839 0.834 0.609 x1
O15 0.956 0.527 0.345 x1
O16 0.997 0.996 0.313 x1

***

[3]
## Li2V4CrCuO12 (PBE with a Hubbard U)

Data for Li2V4CrCuO12 after structural relaxation.

Uncorrected energy (eV/atom): -7.068

Unit cell a=10.871 b=8.567 c=5.655 alpha=90.00 beta=112.83 gamma=90.00
Space group C2 (No. 5)
Symmetry-distinct sites (fractional):
Li1 0.000 0.000 0.000 x2
Li2 0.000 0.451 0.500 x2
V1 0.220 0.331 0.018 x4
V2 0.225 0.123 0.543 x4
Cr1 0.000 0.806 0.500 x2
Cu1 0.000 0.623 0.000 x2
O1 0.101 0.632 0.418 x4
O2 0.106 0.822 0.881 x4
O3 0.116 0.966 0.436 x4
O4 0.151 0.293 0.682 x4
O5 0.157 0.207 0.188 x4
O6 0.185 0.522 0.078 x4

***

What is the uncorrected energy in the second record? -7.034 eV/atom

***
└──

 Visitors: Jean Adams, Debbie Barwick, Michele Frome,Liz Gould-Leger, Judy Lantz, Jesse Palidofsky, Will Ramsey, Teresa Ramsey, Glen Yakushiji   

 Worship:  Trish led worship which concluded with reading together the Call of Seekers Church.

Housekeeping:  The next meeting will be December 7 at 5:00 pm at Seekers Church. 

Moderator: Keith                    Worship: Kevin

Recorder: Sandra                    Angels: Vince and Liz

A major part of the December meeting will be devoted to the annual Stewards Hilarity (aka, Christmas party). Cynthia will again provide leadership for the event. Stewards are reminded to review the preparatory material circulated by Trish.

Stewards approved by consensus a proposal from the SLT to not receive regular full reports from mission groups during 2015. How these reports will be handled in 2016 will be determined by Stewards late in 2015. Mission groups continue to be encouraged to bring to Stewards any matter of particular concern to them.

Vincent Shepherd: Vince read his spiritual autobiography and was received and blessed as a Steward of Seekers Church.

Time and Space Mission Group: The mission group, represented by Deborah and Glen, made its regular report. The call document for the group had been previously circulated to Stewards.

Among the growing edges of the group are the following: recovering from the problems associated the departure of a disruptive member of the group; needing to again do the gifts and roles exercise; regularizing procedures for dealing with contractors and inspectors; achieving a better balance among the various aspects of the life and responsibilities of the mission group; the possibility of reviving some of the group’s prior spiritual practices which have since been abandoned.

With regard to accountability, some mission group members write regular spiritual reports while others do so only occasionally. Mission group sharing provides an accountability mechanism for all.

There are numerous Seekers who are not members of the group but who support its work in a variety of ways. These include the members of the Koinonia Mission Group, Vince Shepherd, Kenny Shaw, and Larry Rawlings. Kevin Barwick also supports the mission group by coordinating regular building maintenance days by “Martha’s Mob.”  

Building Use: Katie Fisher continues her extraordinary work as building manager. During this year, Katie will have coordinated over 600 events that have taken place in our building. These included the various gatherings of the eight different spiritual communities that use the building.

In response to question, we determined that there is currently no formal policy about sleeping on the back porch of the building. This will be an agenda item at a future Stewards meeting

Also noted was that we don’t pretend that our building is a shrine to big donors but rather encourage its full use, with all the wear and tear that entails.

Building Assessment: An important aspect of the work of Time and Space is the ongoing assessment and repair of a wide variety of resources that we use in our building. This includes, but is not limited to, the following: the elevator, numerous motors, a variety of electronics, the wifi, the roof, and the carpet. A major part of this work is done under contracts which are subject to review by the mission group.

.FOG Report: Keith presented the Financial Oversight Group (FOG) report.

Unrelated to this page: records of crystals:
[1]
This record from the Alexandria database describes a relaxed KGeRh2 crystal. The functional is PBE-GGA.

Properties
Mass density: 5.25 g/cm3
Calculated total energy: -4.82 eV per atom
Crystal system: tetragonal

Unit cell a=4.951 b=4.951 c=8.912 alpha=73.87 beta=73.87 gamma=90.00
Atoms (fractional coordinates):
Rh1 0.875 0.048 0.750
K1 0.250 0.750 0.500
Rh2 0.375 0.202 0.750
Rh3 0.798 0.125 0.250
Rh4 0.952 0.625 0.250
Ge1 0.750 0.250 0.500
Ge2 0.000 0.000 0.000
K2 0.500 0.500 0.000



[2]
This record from the Alexandria database describes a relaxed KGe4Rh6 crystal. The functional is PBE-GGA.

Properties
Mass density: 8.87 g/cm3
Calculated total energy: -6.24 eV per atom
Crystal system: hexagonal

Unit cell a=3.843 b=7.298 c=7.298 alpha=120.00 beta=90.00 gamma=90.00
Atoms (fractional coordinates):
Rh1 0.000 0.932 0.466
Ge1 0.500 0.801 0.199
Rh2 0.000 0.534 0.068
Ge2 0.500 0.398 0.199
Ge3 0.000 0.333 0.667
Rh3 0.500 0.596 0.798
Rh4 0.000 0.534 0.466
Rh5 0.500 0.202 0.798
Ge4 0.500 0.801 0.602
K1 0.000 0.000 0.000
Rh6 0.500 0.202 0.404



[3]
This record from the Alexandria database describes a relaxed KGe3Rh crystal. The functional is PBE-GGA.

Properties
Mass density: 4.93 g/cm3
Crystal system: cubic
Energy relative to the lowest polymorph listed for this composition: 0.0 meV/atom

Unit cell a=4.949 b=4.949 c=4.949 alpha=90.00 beta=90.00 gamma=90.00
Atoms (fractional coordinates):
K1 0.500 0.500 0.500
Ge1 0.000 0.500 0.000
Ge2 0.000 0.000 0.500
Rh1 0.000 0.000 0.000
Ge3 0.500 0.000 0.000



[4]
This record from the Alexandria database describes a relaxed K2GeRh crystal. The functional is PBE-GGA.

Properties
Mass density: 2.34 g/cm3
Calculated total energy: -3.46 eV per atom
Crystal system: tetragonal

Unit cell a=12.468 b=12.468 c=9.117 alpha=46.86 beta=46.86 gamma=90.00
Atoms (fractional coordinates):
K1 0.908 0.625 0.250
K2 0.375 0.158 0.750
Rh1 0.000 0.000 0.000
K3 0.842 0.125 0.250
Ge1 0.250 0.750 0.500
Rh2 0.750 0.250 0.500
K4 0.875 0.092 0.750
Ge2 0.500 0.500 0.000



[5]
This record from the Alexandria database describes a relaxed KGe3Rh crystal. The functional is PBE-GGA.

Properties
Mass density: 4.27 g/cm3
Crystal system: cubic
Energy relative to the lowest polymorph listed for this composition: 1838.9 meV/atom

Unit cell a=5.192 b=5.192 c=5.192 alpha=90.00 beta=90.00 gamma=90.00
Atoms (fractional coordinates):
Rh1 0.500 0.500 0.500
K1 0.000 0.000 0.000
Ge1 0.500 0.000 0.000
Ge2 0.000 0.500 0.000
Ge3 0.000 0.000 0.500



[6]
This record from the Alexandria database describes a relaxed KGe2Rh2 crystal. The functional is PBE-GGA.

Properties
Mass density: 6.53 g/cm3
Crystal system: tetragonal
Energy relative to the lowest polymorph listed for this composition: 247.8 meV/atom

Unit cell a=4.188 b=4.188 c=5.653 alpha=90.00 beta=90.00 gamma=90.00
Atoms (fractional coordinates):
Rh1 0.500 0.000 0.500
Ge1 0.500 0.500 0.745
K1 0.000 0.000 0.000
Rh2 0.000 0.500 0.500
Ge2 0.500 0.500 0.255



[7]
Here the page continues:

  • A draft of the 2015 budget was reviewed. It will be presented for formal approval at the December meeting. Learners and Teachers is planning to hold a discussion of the budget for the wider community on the last Tuesday in January.

  • 2014 financial results through September were presented. It appears that by year-end, income and expenses will both be under budget. If this is the case, FOG was asked to present an analysis of why income failed to meet budget.

  • Debbie presented an overview of Seekers investments. They are in Manna, Inc., City First Bank of D.C., N.A., and Oikocredit International.

== Here the page breaks off for crystal structures ==
-- begin --
Density functional theory data (PBE) for Th2MnFe3B12 after structural relaxation.

abc: 5.5220 5.5220 22.1448
angles: 90.00 90.00 120.00
Space group R-3m (No. 166, hexagonal axes)
Unique sites:
Th  0.0000  0.0000  0.1394
Mn  0.0000  0.0000  0.5000
Fe  0.0000  0.5000  0.0000
B  0.0790  0.5395  0.0943
B  0.1043  0.2085  0.7374

Computed properties:
ΔH_f (0 K) = 0.32 kcal/mol of atoms
V = 10.83 Å³/atom
Magnetization = 5.01 μB per formula unit
Fermi-level density of states = 21.6 states/eV per cell

=====

Density functional theory data (PBE) for La2Al5Cu4 after structural relaxation.

abc: 5.623 9.709 15.075
angles: 90.00 90.00 90.00
Space group Fmmm (No. 69)
Unique sites:
La  0.000  0.000  0.134
Al  0.000  0.000  0.500
Al  0.250  0.250  0.000
Al  0.250  0.250  0.250
Cu  0.000  0.143  0.365

Computed properties:
ΔH_f (0 K) = -8.42 kcal/mol of atoms
V = 18.71 Å³/atom
Magnetization = 0.00 μB per formula unit
Fermi-level density of states = 21.3 states/eV per cell

=====

Density functional theory data (PBE) for CoRhCl3 after structural relaxation.

abc: 4.652 4.652 4.652
angles: 90.00 90.00 90.00
Space group Pm-3m (No. 221)
Unique sites:
Co  0.000  0.000  0.000
Rh  0.500  0.500  0.500
Cl  0.000  0.000  0.500

Computed properties:
V = 20.14 Å³/atom
Magnetization = 2.13 μB per formula unit
Fermi-level density of states = 15.6 states/eV per cell
ΔE_f (raw) = 41 kJ/mol of atoms

=====

Density functional theory data (PBE) for TmZr3Fe8 after structural relaxation.

abc: 5.0016 5.0016 24.5499
angles: 90.00 90.00 120.00
Space group R3m (No. 160, hexagonal axes)
Unique sites:
Tm  0.0000  0.0000  0.0000
Zr  0.0000  0.0000  0.1254
Zr  0.0000  0.0000  0.5001
Zr  0.0000  0.0000  0.6247
Fe  0.0000  0.0000  0.3125
Fe  0.0000  0.0000  0.8126
Fe  0.0006  0.5003  0.0635
Fe  0.1670  0.3339  0.8950

Computed properties:
ΔH_f (0 K) = -5.85 kcal/mol of atoms
V = 14.77 Å³/atom
Magnetization = 12.72 μB per formula unit
Fermi-level density of states = 17.0 states/eV per cell

=====

Density functional theory data (PBE) for PmNd2Zn3 after structural relaxation.

abc: 3.678 3.678 11.049
angles: 90.00 90.00 90.00
Space group P4/mmm (No. 123)
Unique sites:
Pm  0.000  0.000  0.000
Nd  0.000  0.000  0.332
Zn  0.500  0.500  0.164
Zn  0.500  0.500  0.500

Computed properties:
ΔH_f (0 K) = -7.07 kcal/mol of atoms
V = 24.90 Å³/atom
Magnetization = 0.00 μB per formula unit
Fermi-level density of states = 7.9 states/eV per cell

=====

Density functional theory data (PBE) for ZrPbBr2 after structural relaxation.

abc: 3.426 5.002 5.997
angles: 90.00 90.00 90.00
Space group Pmmm (No. 47)
Unique sites:
Zr  0.000  0.000  0.000
Pb  0.500  0.000  0.500
Br  0.000  0.500  0.500
Br  0.500  0.500  0.000

Computed properties:
V = 25.69 Å³/atom
Magnetization = 0.00 μB per formula unit
Fermi-level density of states = 2.4 states/eV per cell
ΔE_f (raw) = -26 kJ/mol of atoms

=====

Density functional theory data (PBE) for LaPtRh2I after structural relaxation.

abc: 4.794 4.794 5.928
-- stop --

  • FOG recommended that Seekers open a brokerage account so that Seekers can accept donations of stocks and bonds, without the donor having to first sell them and pay taxes or go through another complex process.  There is no cost for opening and maintaining the brokerage account and a very modest charge for selling any assets donated.  FOG also recommended a standing policy of immediately selling any donation so there is no issue of managing the account and trying to figure out optimal timing. Keith introduced these recommendations and sought a formal resolution (attached), which was agreed to by Stewards by consensus.

 C of S Council Meeting: The next meeting of the C of S Council will be at the Wellspring Center on Sunday, November 16, 2014. A major agenda item will be a financial plan for Dayspring presented by the Dayspring Church. Interested Stewards are invited to attend, but participation in the meeting’s business is limited to the designated representatives of the member churches. Keith represents Seekers.

Conclusion: The meeting concluded with soul talk and prayer.


The text of the brokerage account resolution follows.
The Stewards (Core Members) of The Seekers Church, the duly constituted governing
body of the institution, this second day of November, 2014, hereby resolve to:
(1) open a brokerage account so that Seekers can accept donations ofstocks and bonds to the extent permitted by law,
(2) require the immediate sale, absent extraordinary circumstances, of any such donation, and
(3) authorize payment of any appropriate charges for the sale of any such donated stocks and bonds.
The Stewards hereby authorize Keith Seat, President, Debbie Barwick, Treasurer, and
Marjory Bankson, Chair of the Financial Oversight Group, to act for Seekers Church in effecting the opening ofthe brokerage account and the sale ofthe stock and/or bonds received.
2014 December Stewards Minutes
2014 October Stewards Minutes